Exercise:
Repeat only the last part of the notes further down, starting with the line that has "0.104".
Entries:
- - -
An optimized crystal structure of NaSr4Ca3, computed with PBE.

Geometry as POSCAR:
```
NaSr4Ca3
1.0
6.486 0.000 0.000
0.000 12.980 0.000
0.000 0.000 9.053
Na Sr Ca
2 8 6
direct
0.250 0.250 0.116
0.750 0.750 0.884
0.250 0.000 0.358
0.250 0.250 0.636
0.250 0.500 0.358
0.250 0.750 0.650
0.750 0.000 0.642
0.750 0.250 0.350
0.750 0.500 0.642
0.750 0.750 0.364
0.250 0.013 0.895
0.250 0.487 0.895
0.250 0.750 0.104
0.750 0.250 0.896
0.750 0.513 0.105
0.750 0.987 0.105
```

## Properties
- space-group type = No. 59
- raw total energy (eV/atom) = -1.725
- relative energy among the computed polymorphs (eV per atom) = 0.012
- ΔE_f (meV per atom) = 31.4

* * * * *

1.
PrThAl2Pd5 | GGA-PBE | optimized geometry

The space group is P4/mmm (No. 123) and the conventional cell measures 4.3904, 4.3904 and 9.0334 Å, with angles of 90.00, 90.00 and 90.00 degrees. The distinct sites, in fractional coordinates, are Pr at (0.0000, 0.0000, 0.0000), Th at (0.0000, 0.0000, 0.5000), Al at (0.5000, 0.5000, 0.3539), Pd at (0.0000, 0.5000, 0.2288) and Pd at (0.5000, 0.5000, 0.0000).

The value obtained for the calculated formation energy is -0.78 eV per atom. As for the density: 9.15 g/cm3. The final energy is -0.215 hartree per atom.

---

2.
PrTmAlPd | GGA-PBE | optimized geometry

The space group is F-43m (No. 216) and the conventional cell measures 7.2597, 7.2597 and 7.2597 Å, with angles of 90.00, 90.00 and 90.00 degrees. The distinct sites, in fractional coordinates, are Pr at (0.0000, 0.0000, 0.0000), Tm at (0.0000, 0.0000, 0.5000), Al at (0.2500, 0.2500, 0.2500) and Pd at (0.2500, 0.2500, 0.7500).

The value obtained for the calculated formation energy is -0.51 eV per atom. As for the density: 7.69 g/cm3. The final energy is -0.186 hartree per atom.
- - -
Written answer:
0.250 0.750 0.104
0.750 0.250 0.896
0.750 0.513 0.105
0.750 0.987 0.105
```

## Properties
- space-group type = No. 59
- raw total energy (eV/atom) = -1.725
- relative energy among the computed polymorphs (eV per atom) = 0.012
- ΔE_f (meV per atom) = 31.4

* * * * *

1.
PrThAl2Pd5 | GGA-PBE | optimized geometry

The space group is P4/mmm (No. 123) and the conventional cell measures 4.3904, 4.3904 and 9.0334 Å, with angles of 90.00, 90.00 and 90.00 degrees. The distinct sites, in fractional coordinates, are Pr at (0.0000, 0.0000, 0.0000), Th at (0.0000, 0.0000, 0.5000), Al at (0.5000, 0.5000, 0.3539), Pd at (0.0000, 0.5000, 0.2288) and Pd at (0.5000, 0.5000, 0.0000).

The value obtained for the calculated formation energy is -0.78 eV per atom. As for the density: 9.15 g/cm3. The final energy is -0.215 hartree per atom.

---

2.
PrTmAlPd | GGA-PBE | optimized geometry

The space group is F-43m (No. 216) and the conventional cell measures 7.2597, 7.2597 and 7.2597 Å, with angles of 90.00, 90.00 and 90.00 degrees. The distinct sites, in fractional coordinates, are Pr at (0.0000, 0.0000, 0.0000), Tm at (0.0000, 0.0000, 0.5000), Al at (0.2500, 0.2500, 0.2500) and Pd at (0.2500, 0.2500, 0.7500).

The value obtained for the calculated formation energy is -0.51 eV per atom. As for the density: 7.69 g/cm3. The final energy is -0.186 hartree per atom.